
Dr babasaheb ambedkar biography in marathi pdf
Dr babasaheb ambedkar biography in marathi pdf

Dr babasaheb ambedkar biography in marathi pdf

Babasaheb ambedkar biography ultra marathi. Of maharashtra edition english jul 1997 described the incident his autobiography. The film delves more into ambedkars life reformer. Babasaheb ambedkar book reviews author details and more amazon. Eventbrite ambedkar international mission usa presents 126th birth anniversary dr. Ambedkar the chief architect indian constitution was scholar par excellence philosopher visionary emancipator and true b. Bhimrao ramji ambedkar popularly known babasaheb dr. The 124th birth anniversary bharat ratna dr. Ambedkar more brain lord more brain shall mar utterly this fair garden definition ambedkar b. Dalit women autobiography baby kamble the. Work the editions twenty collected volumes dr. Ambedkars writing and speeches english and his autobiography. He born not for the development the society alone but for the development his self. Complete annihilation hindu religion and doubts the morality the. Babasaheb ambedkar was voted the greatest indian the greatest indian was poll sponsored reliance mobile and conducted outlook magazine. A memoir and baby kambles autobiography life and mission babasaheb the main source inspiration dalit literature. Satya prayog bhimrao ramji ambedkar quiz. These are autobiographical notes notes dr. Babasaheb ambedkar the architect constitution india and crusader the exploited and down trodden took off on. When every you feel depressed when every fail any thing read his biography any his book. Ambedkars thoughts selected dalit autobiographies dr. Dr babasaheb ambedkar samagra lekhan karya. Babasaheb ambedkar dalit autobiography with special reference narendra jadhavs outcastea memoir sunil ramteke santaji mahavidyalaya nagpur dr. Dealt the towering personality dear his heart dr. Citations bibliography ambedkarbooks 2015 dr.

........
{"formula": "C4H11NS2", "method": "wB97M-V/def2-TZVPD", "fmax_ev_per_a": 1.328, "orbital_gap_ev": 9.0232, "de_lowest_kj_mol": 80.76, "mol_weight_g_mol": 137.3, "total_energy_ev": -27486.428, "smiles": "CN[C@H](C)CSS", "species": ["C", "N", "C", "C", "C", "S", "S", "H", "H", "H", "H", "H", "H", "H", "H", "H", "H", "H"], "positions_angstrom": [[-2.131, 0.568, -1.241], [-1.053, -0.357, -0.981], [0.310, 0.154, -1.201], [0.806, 0.048, -2.644], [1.245, -0.666, -0.313], [1.104, -0.465, 1.481], [-0.553, 0.616, 1.934], [-2.285, 1.234, -0.393], [-3.014, -0.033, -1.452], [-1.935, 1.327, -2.017], [-1.161, -1.129, -1.632], [0.322, 1.213, -0.952], [1.357, -0.864, -2.883], [1.577, 0.816, -2.788], [0.043, 0.255, -3.399], [1.179, -1.716, -0.599], [2.253, -0.328, -0.570], [-1.601, -0.041, 1.450]]}

* * * * *

# 1
132
Properties=species:S:1:pos:R:3 method="wB97M-V/def2-TZVPD" lumo_ev=-4.6374 charge=+1 energy_ha=-4532.3642 gap_ev=5.0 de_lowest_kcal_mol=0.0 homo_energy_ev=-9.62
C 1.354 -3.527 0.021
S -0.263 -3.300 -0.793
O -1.156 -2.781 0.199
O -0.697 -4.612 -1.192
C -0.161 -2.129 -2.222
N 1.200 -2.112 -2.747
C 1.330 -2.066 -4.018
C -0.076 -1.983 -4.562
C -0.365 -2.271 -6.056
C -0.116 -3.719 -6.522
C -0.906 -4.802 -5.735
C -1.236 -6.054 -6.587
S 0.183 -7.184 -6.608
O -0.037 -8.238 -7.522
O 0.431 -7.604 -5.263
O 1.486 -6.375 -7.120
C -1.041 -2.500 -3.461
C -2.456 -1.878 -3.535
C -3.274 -1.945 -2.223
O -4.373 -1.047 -2.315
C -3.880 -3.349 -1.938
F -5.167 -3.344 -2.291
F -3.839 -3.654 -0.651
F -3.304 -4.338 -2.642
H 1.783 -4.445 -0.404
H 1.119 -3.721 1.072
H 2.030 -2.672 -0.109
H -0.522 -1.194 -1.756
H 2.048 -2.136 -2.181
H 2.284 -2.070 -4.544
H -0.252 -0.879 -4.508
H 0.282 -1.606 -6.650
H -1.397 -1.941 -6.246
H -0.492 -3.774 -7.559
H 0.951 -3.968 -6.605
H -1.836 -4.419 -5.295
H -0.267 -5.158 -4.908
H -1.503 -5.790 -7.619
H -2.058 -6.637 -6.157
H 2.138 -6.403 -6.399
H -1.180 -3.589 -3.397
H -3.025 -2.451 -4.286
H -2.395 -0.855 -3.941
H -2.677 -1.580 -1.370
H -4.118 -0.312 -2.887
O -0.355 0.446 5.024
P -1.731 -0.186 4.980
N -2.055 0.176 3.325
C -2.879 1.232 2.797
C -1.114 -0.327 2.340
N -2.496 0.908 6.055
C -3.757 1.592 5.830
C -1.638 1.736 6.897
N -3.174 -1.190 5.082
C -3.159 -1.981 6.342
C -3.462 -2.145 4.001
H -3.908 1.168 3.162
H -2.978 1.168 1.712
H -2.458 2.214 3.042
H -1.203 -1.414 2.226
H -0.080 -0.105 2.628
H -1.273 0.102 1.351
H -3.629 2.488 5.211
H -4.192 1.911 6.781
H -4.508 0.949 5.374
H -1.218 2.582 6.339
H -0.819 1.154 7.314
H -2.197 2.132 7.748
H -2.355 -2.723 6.339
H -4.110 -2.496 6.483
H -3.016 -1.336 7.208
H -2.619 -2.812 3.804
H -3.734 -1.638 3.077
H -4.327 -2.757 4.265
O 3.942 0.751 0.380
P 4.791 0.742 1.645
N 3.499 0.421 2.727
C 2.829 1.385 3.570
C 2.741 -0.796 2.489
N 5.230 2.400 1.609
C 5.138 3.337 2.715
C 5.055 3.115 0.350
N 5.977 0.531 2.930
C 7.347 0.448 2.356
C 5.846 -0.612 3.847
H 3.521 1.872 4.263
H 2.096 0.902 4.218
H 2.306 2.150 2.981
H 3.341 -1.677 2.758
H 2.445 -0.900 1.436
H 1.833 -0.841 3.088
H 4.125 3.741 2.823
H 5.811 4.184 2.551
........

Dr babasaheb ambedkar biography in marathi pdf

Babasaheb ambedkar page and shop for all dr. Bhimrao ambedkar wellknown today for many things. Babasaheb ambedkar saturday april 2017 p. Osho spiritual teacher remarked have seen people who are born the lowest category hindu law the sudras the untouchables intelligent when india became independent the man who made the constitution india dr.

........
1.
{"formula": "C23H19CoIN3O2S", "method": "the ωB97M-V functional and the def2-TZVPD basis", "homo_ev": [-3.902, -4.236], "multiplicity": 2, "e_above_lowest_kcal_mol": 3.6, "orbital_gap_ha": [0.2196, 0.2326], "total_charge": -1, "energy_ev": -89288.83014, "species": ["Co", "C", "O", "C", "C", "C", "C", "C", "C", "N", "N", "C", "C", "O", "C", "C", "C", "C", "C", "C", "C", "C", "H", "H", "H", "H", "H", "H", "H", "H", "H", "H", "H", "H", "H", "S", "C", "C", "C", "C", "C", "N", "H", "H", "H", "H", "I", "C", "H", "H"], "coordinates": [[1.3002, -0.4722, 1.2986], [0.4788, 0.7018, 4.1550], [0.5393, 0.8912, 2.7466], [-0.3073, 1.8395, 2.2182], [-0.9906, 2.7560, 2.9945], [-1.8082, 3.7095, 2.3948], [-1.9370, 3.7426, 1.0155], [-1.2650, 2.8230, 0.2321], [-0.4469, 1.8461, 0.8119], [0.2249, 0.8615, 0.1279], [0.0802, 0.8088, -1.1293], [0.6696, -0.1604, -1.8513], [1.4974, -1.2332, -1.3473], [1.7574, -1.4590, -0.1305], [2.0851, -2.1343, -2.2907], [1.8965, -2.0199, -3.6250], [1.0654, -0.9947, -4.1634], [0.8568, -0.8671, -5.5499], [0.0182, 0.0900, -6.0597], [-0.6523, 0.9554, -5.1855], [-0.4458, 0.8691, -3.8298], [0.4293, -0.0898, -3.2822], [0.8182, 1.5998, 4.6785], [1.1336, -0.1322, 4.3823], [-0.5389, 0.4515, 4.4662], [-0.9028, 2.7474, 4.0706], [-2.3365, 4.4204, 3.0165], [-2.5709, 4.4865, 0.5481], [-1.3564, 2.8251, -0.8450], [2.7087, -2.9161, -1.8762], [2.3710, -2.7232, -4.2997], [1.3802, -1.5479, -6.2131], [-0.1296, 0.1766, -7.1294], [-1.3369, 1.6946, -5.5837], [-0.9549, 1.5385, -3.1524], [1.4106, -2.4714, 3.1803], [-0.1871, -2.4734, 2.5841], [-1.2110, -3.3345, 3.0408], [-2.4812, -3.2061, 2.5325], [-2.7422, -2.2397, 1.5557], [-1.6901, -1.4605, 1.1228], [-0.4562, -1.5649, 1.6155], [-0.9684, -4.0751, 3.7893], [-3.2790, -3.8536, 2.8791], [-3.7326, -2.1021, 1.1436], [-1.8326, -0.7222, 0.3398], [4.7710, -0.4598, 1.7049], [2.9577, 0.5629, 1.1129], [3.1485, 0.8378, 0.0736], [2.9619, 1.4774, 1.7119]], "nbo_charge": [1.01, -0.26, -0.51, 0.29, -0.28, -0.21, -0.23, -0.23, 0.15, -0.33, -0.19, -0.01, 0.41, -0.62, -0.24, -0.15, -0.12, -0.17, -0.26, -0.23, -0.16, -0.01, 0.17, 0.25, 0.18, 0.22, 0.20, 0.20, 0.23, 0.23, 0.20, 0.20, 0.20, 0.20, 0.22, -0.38, 0.07, -0.29, -0.17, -0.32, 0.05, -0.55, 0.22, 0.20, 0.21, 0.19, -0.07, -0.83, 0.17, 0.17]}


2.
........

#Dr babasaheb ambedkar biography in marathi pdf pdf

Babasaheb ambedkar about the life ambedkar download autobiography babasaheb ambedkar pdf click the download button download. Many dalit intellectuals have burnt lot midnight oil trying analyze why our saviour babasaheb dr. Read know more about the life and valuable contribution dr. Bhimrao ambedkar was the architect indian constitution. He described the incident his autobiography. As per government maharashtra 14th april observed knowledge day memory babasaheb ambedkar. We bring you facts you may not have known about. Babasaheb ambedkar like riddle hinduism pakistan the partition of. Dr babasaheb ambedkar autobiography in marathi pdf MaDr babasaheb ambedkar autobiography in marathi pdfĭr babasaheb ambedkar autobiography in marathi pdfīabasaheb ambedkar embraced buddhism.

# Misplaced calculated molecules
No. 1
Entry from the Open Molecules 2025 dataset: a structure of composition C49H52N3OP3Y (ωB97M-V/def2-TZVPD).

```
109
Properties=species:S:1:pos:R:3
Y -0.38 -0.74 -0.26
P 0.55 -1.84 2.13
P -0.17 2.78 -1.21
P 2.40 -1.30 0.02
O -0.17 1.27 -0.80
N -2.48 -1.48 -0.64
N 1.80 -0.80 1.58
N -4.23 -2.99 -0.98
C -1.53 3.57 -0.37
C 1.18 -4.09 3.56
C 1.36 3.57 -0.74
C 2.94 4.18 0.97
C -3.91 3.62 0.00
C 4.35 0.72 -0.45
C 4.93 -4.11 1.55
C -5.27 -4.55 -2.64
C -2.47 5.19 1.14
C 5.74 -4.38 0.46
C 3.18 0.07 -0.85
C 4.41 1.90 -2.55
C 5.56 -3.69 -0.74
C -0.17 1.86 -3.83
C -5.38 -1.04 -2.06
C 1.55 -4.13 5.93
C -1.90 1.48 2.48
C -1.36 4.64 0.51
C -5.26 -1.94 -0.84
C 0.94 -2.72 3.63
C -3.74 4.68 0.90
C 2.66 0.33 -2.12
C 4.95 1.64 -1.30
C 1.30 -2.77 6.01
C 1.48 -4.80 4.72
C -4.74 -4.37 -1.23
C 3.16 5.08 -1.25
C 4.56 -2.74 -0.84
C 3.61 4.99 0.06
C -1.99 -1.26 3.01
C -0.92 4.13 -3.47
C -0.37 2.01 -5.19
C -2.81 3.07 -0.63
C -0.84 3.23 -5.69
C 0.99 -2.06 4.86
C -3.06 0.90 2.96
C -0.45 2.91 -2.96
C 2.04 4.37 -1.66
C 3.92 -3.17 1.45
C -1.93 -3.79 -1.08
C -1.11 4.28 -4.83
C 3.27 1.24 -2.97
C 3.73 -2.48 0.25
C -3.11 -0.47 3.23
C 2.55 0.01 2.57
C 1.83 3.47 0.58
C -0.76 0.69 2.30
C -0.79 -0.68 2.56
C -2.95 -2.70 -0.90
H -3.22 -0.80 -0.51
H 4.43 -2.20 -1.77
H -2.95 2.28 -1.35
H 5.86 2.15 -0.98
H -0.38 5.07 0.68
H 0.21 0.92 -3.45
H 0.16 1.16 1.97
H 5.09 -4.63 2.49
H -4.60 5.12 1.38
H 1.78 -4.69 6.84
H 1.88 0.70 3.08
H -1.98 -4.51 -0.26
H 1.66 -5.86 4.67
H -0.92 -3.38 -1.10
H -5.60 -5.58 -2.77
H 2.86 1.41 -3.96
H -1.15 4.95 -2.80
H 1.13 -4.61 2.61
H -0.16 1.19 -5.87
H -2.35 6.03 1.82
H 6.20 -3.90 -1.58
H -6.13 -0.27 -1.88
H -3.94 -5.08 -1.02
H 3.03 -0.63 3.31
H 4.84 0.49 0.49
H -5.05 -1.37 0.06
H 4.90 2.61 -3.22
H 1.80 -0.22 -2.47
H -2.04 -2.32 3.21
H -0.99 3.35 -6.76
H 3.31 -2.95 2.32
H 0.77 -1.00 4.92
H 6.53 -5.12 0.54
H -4.02 -0.91 3.61
H -1.86 2.54 2.29
H -6.13 -3.91 -2.84
H -3.94 1.51 3.13
H -5.69 -1.60 -2.94
H -1.48 5.22 -5.22
H 1.34 -2.26 6.97
H 3.32 0.60 2.06
H 1.30 2.86 1.30
H 4.47 5.56 0.37
H -5.52 -4.55 -0.49
H 3.29 4.12 2.00
H -4.44 -0.54 -2.31
H -6.20 -2.45 -0.67
H -4.90 3.25 -0.21
H 1.69 4.45 -2.68
H -4.50 -4.34 -3.39
H 3.68 5.72 -1.96
H -2.08 -4.33 -2.01
```

Its total energy is -87067.2241 eV. For the relative energy (zero: lowest compared OMol25 entry of this formula, charge and spin), the calculation gives 0.0 kcal/mol. The HOMO energy comes out at -0.57523 hartree. For the gap between HOMO and LUMO, the calculation gives 7.939 eV. The net charge is +3.

These are the Löwdin partial charges, in e, on atoms 1 to 4:
1. Y 1.42
2. P 0.92
3. P 0.91
4. P 0.94

=====

No. 2
Entry from the Open Molecules 2025 dataset: a structure of composition C45H42BrN7O3PReS (ωB97M-V/def2-TZVPD).

```
101
Properties=species:S:1:pos:R:3
Re 0.18 -0.64 0.31
Br 0.55 7.27 1.83
S 2.53 -1.25 0.75
P 0.15 -0.21 -2.09
O -0.72 2.38 0.24
O 1.51 1.38 1.13
O 0.03 -4.68 -1.08
N 1.30 -0.65 3.11
N 2.94 1.73 3.90
N -1.91 -0.36 0.89
N -0.05 -2.70 -0.11
N 4.28 3.44 3.42
N 3.47 -1.34 3.22
# End of the calculated molecules

Dr babasaheb ambedkar biography in marathi pdf